Input:
=====
## one
Formula: C3H10N2O2
Source: the OMol25 dataset
Level of theory: ωB97M-V/def2-TZVPD

Values from the calculation:
LUMO level = 0.47 eV
highest occupied orbital energy = -9.12 eV
orbital gap = 9.585 eV
SMILES string = CNC(=O)CN.O

Geometry as ORCA input:
```
! RIJCOSX wB97M-V def2-TZVPD def2/J DEFGRID3
* xyz 0 1
N 1.2679 1.7816 -0.4951
C 1.2422 0.3488 -0.7819
C -0.1690 -0.1562 -0.9602
N -0.8589 -0.3542 0.2121
C -2.3004 -0.5216 0.2731
O -0.5776 -0.6157 -2.0156
H 0.7177 2.3604 -1.1302
H 2.1930 2.1700 -0.5894
H 1.7480 -0.1676 0.0300
H 1.7167 0.0992 -1.7371
H -0.3504 -0.0356 1.0187
H -2.7382 -0.1447 -0.6464
H -2.6218 -0.0935 1.2199
H -2.5228 -1.5944 0.3687
H 0.7843 0.0226 3.3867
H 1.3736 -1.3045 3.3265
O 1.1708 -0.5753 2.7233
*
```

## two
Formula: C3H10N2O2
Source: the OMol25 dataset
Level of theory: ωB97M-V/def2-TZVPD

Values from the calculation:
LUMO level = 0.45 eV
highest occupied orbital energy = -8.03 eV
orbital gap = 8.481 eV

Geometry as ORCA input:
```
! RIJCOSX wB97M-V def2-TZVPD def2/J DEFGRID3
* xyz 0 1
C 1.8516 -0.2726 -0.9591
C -2.0263 0.2834 1.1206
C 1.9024 -0.0049 0.4993
N -2.1229 -0.1600 -0.2465
N 1.1947 -1.2787 -1.4306
O -0.8592 -0.1135 -0.8554
O -1.4545 1.5746 1.2701
H -0.6816 1.5792 0.6863
H -2.7249 0.4664 -0.7786
H 2.4374 0.3801 -1.6105
H -0.1014 -1.1126 -1.0798
H 1.2458 -1.3976 -2.4369
H -3.0307 0.3281 1.5491
H -1.4253 -0.4632 1.6599
H 1.7336 1.0514 0.7049
H 2.8974 -0.2598 0.8768
H 1.1639 -0.6003 1.0304
*
```

## three
Formula: C3H10N2O2
Source: the OMol25 dataset
Level of theory: ωB97M-V/def2-TZVPD

Values from the calculation:
LUMO level (spin up / spin down) = 0.69 / 0.70 eV
highest occupied orbital energy (spin up / spin down) = -6.56 / -5.78 eV
orbital gap (spin up / spin down) = 7.247 / 6.479 eV

Geometry as ORCA input:
```
! RIJCOSX wB97M-V def2-TZVPD def2/J DEFGRID3
* xyz 0 1
C -0.4303 -0.7304 0.3180
C 0.7374 -0.3012 -0.2519
C -1.0133 0.4707 -1.5721
N 1.8378 -0.7539 1.5966
N -1.4313 1.7583 -1.2282
O 1.4693 0.4760 2.3134
O -0.9120 -1.9855 0.2645
H 2.3131 0.9345 2.3809
H -0.3764 -2.5252 -0.3334
H 1.3240 -1.4539 2.1419
H -0.9227 -0.1368 1.0784
H -0.6916 2.4416 -1.1372
H -2.0654 1.8083 -0.4426
H 1.0504 0.7145 -0.0664
H 1.2778 -0.9309 -0.9472
H -1.8276 -0.2366 -1.6925
H -0.3391 0.4505 -2.4223
*
```

## four
Formula: C3H10N2O2
Source: the OMol25 dataset
Level of theory: ωB97M-V/def2-TZVPD

Values from the calculation:
LUMO level = 0.79 eV
highest occupied orbital energy = -8.73 eV
orbital gap = 9.521 eV
SMILES string = C[C@H](COO)NN

Geometry as ORCA input:
```
! RIJCOSX wB97M-V def2-TZVPD def2/J DEFGRID3
* xyz 0 1
C -0.8956 -0.3125 0.0296
C -0.1188 -0.2986 1.3665
C -1.0884 1.1090 -0.5121
N -0.2859 -1.2619 -0.9053
N 0.9293 -0.8950 -1.5332
O 0.8389 0.7180 1.5289
O 2.0599 0.4109 0.8597
H 2.7306 0.5800 1.5343
H -0.9461 -1.4739 -1.6489
H -1.8772 -0.7459 0.2537
H 1.6598 -0.8866 -0.8267
H 0.8873 0.0456 -1.9347
H 0.3321 -1.2852 1.5242
H -0.8127 -0.0826 2.1830
H -1.6175 1.0810 -1.4632
H -1.6667 1.6958 0.1962
H -0.1288 1.6018 -0.6521
*
```

Result of the stability comparison: three is the least stable of them.

## one
Formula: C3H10N2O2
Source: the OMol25 dataset
Level of theory: ωB97M-V/def2-TZVPD

Values from the calculation:
LUMO level = 0.83 eV
highest occupied orbital energy = -9.56 eV
orbital gap = 10.392 eV
SMILES string = CNC(=O)CN.O

Geometry as ORCA input:
```
! RIJCOSX wB97M-V def2-TZVPD def2/J DEFGRID3
* xyz 0 1
N 0.1498 1.8158 -0.4630
C -0.0996 0.5672 -1.2616
C 0.7184 -0.5164 -0.5807
N 0.1924 -1.2378 0.4375
C 0.8388 -2.6036 0.7109
O 1.8897 -0.6022 -0.9742
H 1.1882 1.9088 -0.3147
H -0.2682 2.7009 -0.8331
H -1.2115 0.2709 -1.3236
H 0.2219 0.8525 -2.2498
H -0.5941 -0.8850 0.9439
H 0.2593 -3.3700 0.1121
H 1.7918 -2.4681 0.2333
H 0.9944 -2.7577 1.7653
H -1.3880 1.8337 0.8733
H -2.5452 2.6806 1.4508
O -2.1382 1.8105 1.4737
*
```

## two
Formula: C3H10N2O2
Source: the OMol25 dataset
Level of theory: ωB97M-V/def2-TZVPD

Values from the calculation:
LUMO level = 0.75 eV
=====

Brief:
Now transcribe only the lines above with the word "LUMO" in them.

Here it is:
LUMO level = 0.47 eV
LUMO level = 0.45 eV
LUMO level (spin up / spin down) = 0.69 / 0.70 eV
LUMO level = 0.79 eV
LUMO level = 0.83 eV
LUMO level = 0.75 eV